Tree Preservation Orders

Tree preservation orders can be made for any tree ( with the exemption of hedges, bushes, and shrubs) and woodland. Keep in mind that trees in hedges can be put under a TPO but not the hedges themselves. TPOs are primarily used in urban and semi-urban settings, and for trees that are considered to have some importance and significance to the local community.

How does a tree preservation order helps to safeguard trees and woods?

A TPO is designed to protect trees and wood by restricting the work that can be done on them. For any management or removal work to be carried out on a tree protected by a TPO, the local planning authority (local council) must first give you permission to do so.

Should one fail to request or obtain permission from the council and proceed to carry out this type of work, the council has the right to prosecute them and impose a fine ranging from £2,500 to £20,000. If you are in the New Forest area it may interest you to see BS5837 tree survey.

How can I get a TPO put on a tree?

If you want to have a TPO placed on a tree or wood, all you need to do is to contact the council and communicate the issue with the tree officer or any person at the council with the same mandate.

You need to be clear on why you think the tree needs to be put into protection. In practice, TPOs are placed on trees or wood that are deemed to have a high ‘amenity’ or ‘nature conservation value.

The council exercises its discretion with respect to making a TPO. They don’t have to put a TPO on a tree or wood as requested but if they do, they have a responsibility to ensure that it is enforced.

____________
w | Na5H7Se4O18: relaxed, PBE.

Unit cell a=6.1215 b=7.3790 c=10.0985 alpha=102.19 beta=99.61 gamma=100.75
Closest atoms and distances in Å follow each position.
Positions (direct):
Na 0.0000 0.0000 0.0000  4 O 2.38-2.53
Na 0.1335 0.1707 0.3964  6 O 2.42-2.54
Na 0.3539 0.2564 0.8047  5 O 2.34-2.60
Na 0.6461 0.7436 0.1953  5 O 2.34-2.60
Na 0.8665 0.8293 0.6036  6 O 2.42-2.54
H 0.0239 0.6604 0.0956  1 O 0.99
H 0.1599 0.4009 0.0451  1 O 0.98
H 0.2718 0.5568 0.6188  1 O 1.02
H 0.5000 0.0000 0.5000  2 O 1.22
H 0.7282 0.4432 0.3812  1 O 1.02
H 0.8401 0.5991 0.9549  1 O 0.98
H 0.9761 0.3396 0.9044  1 O 0.99
Se 0.2464 0.6909 0.3733  4 O 1.66-1.73
Se 0.4121 0.7970 0.8235  4 O 1.64-1.78
Se 0.5879 0.2030 0.1765  4 O 1.64-1.78
Se 0.7536 0.3091 0.6267  4 O 1.66-1.73
O 0.0542 0.8203 0.3966  1 Se 1.66
O 0.1077 0.3052 0.9560  2 H 0.98-0.99
O 0.2221 0.9172 0.7734  1 Se 1.67
O 0.2234 0.5147 0.4534  1 H 1.60, 1 Se 1.67
O 0.2497 0.6108 0.2070  1 Se 1.66, 1 H 1.78
O 0.3030 0.5587 0.7217  1 H 1.02
O 0.3334 0.1239 0.2059  1 Se 1.66
O 0.4149 0.7708 0.9806  1 Se 1.64
O 0.4870 0.1603 0.5557  1 H 1.22
O 0.5130 0.8397 0.4443  1 H 1.22
O 0.5851 0.2292 0.0194  1 Se 1.64
O 0.6666 0.8761 0.7941  1 Se 1.66
O 0.6970 0.4413 0.2783  1 H 1.02
O 0.7503 0.3892 0.7930  1 Se 1.66, 1 H 1.78
O 0.7766 0.4853 0.5466  1 H 1.60, 1 Se 1.67
O 0.7779 0.0828 0.2266  1 Se 1.67
O 0.8923 0.6948 0.0440  2 H 0.98-0.99
O 0.9458 0.1797 0.6034  1 Se 1.66

=====

x | Na5H7Se4O18: relaxed, PBE.

Unit cell a=6.2491 b=7.4970 c=11.2084 alpha=98.31 beta=96.41 gamma=97.66
Closest atoms and distances in Å follow each position.
Positions (direct):
Na 0.0000 0.0000 0.0000  1 H 2.33, 5 O 2.33-2.61
Na 0.0843 0.2260 0.3546  3 H 2.52-2.57, 4 O 2.61-2.81
Na 0.1934 0.3540 0.7741  5 O 2.34-2.48
Na 0.5717 0.4351 0.1732  4 O 2.33-2.49
Na 0.7350 0.9455 0.6308  4 O 2.26-2.45, 1 H 2.53
H 0.0441 0.8282 0.3013  1 H 0.75
H 0.1590 0.5590 0.4549  1 H 0.75
H 0.2513 0.5223 0.4877  1 H 0.75
H 0.4828 0.0059 0.7886  1 O 0.99
H 0.6609 0.5067 0.9199  1 O 0.99
H 0.8594 0.2364 0.9188  1 O 1.08
H 0.9637 0.8836 0.2758  1 H 0.75
Se 0.0458 0.5343 0.0706  2 O 1.70-1.74
Se 0.1566 0.7939 0.7263  3 O 1.67-1.85
Se 0.5285 0.9643 0.1878  3 O 1.66-1.67
Se 0.6579 0.3935 0.6060  3 O 1.66
O 0.0283 0.9640 0.7899  1 Se 1.71
O 0.0610 0.3368 0.9712  1 H 1.40
O 0.2229 0.6776 0.8382  1 Se 1.67
O 0.3138 0.0595 0.1422  1 Se 1.67
O 0.4025 0.2959 0.6010  1 Se 1.66
O 0.4162 0.9324 0.7094  1 H 0.99
O 0.4969 0.3428 0.3561  1 O 1.35
O 0.5058 0.7433 0.1336  1 Se 1.66
O 0.5248 0.4174 0.9031  1 H 0.99
O 0.5334 0.9946 0.3693  1 O 1.34
O 0.5806 0.2700 0.9681  2 O 1.42-1.47
O 0.6896 0.3901 0.4292  1 O 1.35
O 0.6989 0.1570 0.8956  1 H 1.08
O 0.7087 0.6099 0.6730  1 Se 1.66
O 0.7358 0.0353 0.4297  1 O 1.34
O 0.7659 0.0803 0.1695  1 Se 1.67
O 0.8472 0.2766 0.6568  1 Se 1.66
O 0.9655 0.4709 0.2001  1 Se 1.70

=====

From most stable to least stable, the computed energies give w, x.

=====

w | Na5H7Se4O18: relaxed, PBE.
____________
So much for the records of crystals >

What are the timescales?

A TPO takes effect immediately after it is made. The initial protection lasts 6 months during which the TPO can be confirmed, revoked, or amended. Keep in mind that during this period, you can’t include other trees in the TPO. If you want to protect another tree (s), you will need to seek a new TPO from the council.

If the six months lapse and no one formally objects to the TPO, it becomes permanent. For one to legally carry out any work on the trees, an application must first be submitted to the council.

____________
Crystalline CaGeBi2O6 at its relaxed geometry. Source: the Materials Project database, functional meta-GGA r2SCAN.

Structure (POSCAR):
```
CaGeBi2O6
1.0
0.000 3.996 3.996
3.996 0.000 3.996
3.996 3.996 0.000
O Ge Bi Ca
6 1 2 1
direct
0.269 0.269 0.731
0.731 0.731 0.269
0.269 0.731 0.731
0.269 0.731 0.269
0.731 0.269 0.269
0.731 0.269 0.731
0.500 0.500 0.500
0.250 0.250 0.250
0.750 0.750 0.750
0.000 0.000 0.000
```

As for the raw total energy: -18.943 eV per atom. The total magnetic moment is 0.000 μB per atom. For the mass density, the calculation gives 8.154 g/cm³. The calculation puts the energy of formation from the pure elements at -1.568 eV per atom. As for the space group: Fm-3m.


Crystalline Ca14MnBi11 at its relaxed geometry. Source: the Materials Project database, functional meta-GGA r2SCAN.

Structure (POSCAR):
```
Ca14MnBi11
1.0
-8.572 8.572 11.279
8.572 -8.572 11.279
8.572 8.572 -11.279
Ca Bi Mn
56 44 4
direct
0.443 0.604 0.481
0.271 0.375 0.396
0.621 0.755 0.783
0.039 0.557 0.161
0.625 0.021 0.896
0.125 0.229 0.604
0.254 0.150 0.149
0.125 0.729 0.104
0.627 0.289 0.981
0.005 0.371 0.283
0.395 0.499 0.149
0.754 0.605 0.103
0.277 0.995 0.366
0.479 0.875 0.104
0.854 0.193 0.981
0.625 0.521 0.396
0.900 0.251 0.397
0.121 0.339 0.866
0.745 0.879 0.217
0.505 0.223 0.634
0.501 0.650 0.897
0.661 0.527 0.783
0.896 0.057 0.519
0.396 0.877 0.839
0.350 0.246 0.851
0.539 0.377 0.481
0.771 0.375 0.896
0.354 0.373 0.661
0.711 0.693 0.339
0.496 0.100 0.351
0.973 0.839 0.217
0.400 0.004 0.649
0.001 0.105 0.851
0.355 0.751 0.351
0.249 0.600 0.603
0.629 0.911 0.634
0.245 0.027 0.866
0.211 0.873 0.019
0.895 0.746 0.897
0.749 0.145 0.649
0.623 0.104 0.161
0.979 0.875 0.604
0.855 0.504 0.603
0.943 0.461 0.839
0.129 0.495 0.717
0.996 0.645 0.397
0.777 0.411 0.283
0.161 0.379 0.134
0.123 0.961 0.519
0.589 0.871 0.366
0.307 0.646 0.019
0.807 0.789 0.661
0.127 0.146 0.339
0.850 0.999 0.103
0.089 0.723 0.717
0.473 0.255 0.134
0.355 0.208 0.407
0.673 0.319 0.365
0.500 0.000 0.500
0.000 0.500 0.500
0.458 0.105 0.907
0.681 0.045 0.353
0.795 0.942 0.865
0.958 0.051 0.353
0.792 0.199 0.147
0.292 0.145 0.593
0.387 0.387 0.275
0.637 0.137 0.775
0.137 0.363 0.500
0.863 0.637 0.500
0.069 0.205 0.147
0.613 0.887 0.000
0.198 0.551 0.093
0.895 0.802 0.353
0.449 0.542 0.647
0.395 0.042 0.093
0.801 0.948 0.593
0.577 0.442 0.147
0.113 0.113 0.725
0.569 0.423 0.865
0.301 0.708 0.853
0.692 0.327 0.647
0.052 0.645 0.853
0.295 0.431 0.853
0.192 0.545 0.365
0.455 0.819 0.647
0.250 0.250 0.000
0.855 0.448 0.147
0.077 0.931 0.135
0.058 0.923 0.853
0.887 0.613 0.000
0.552 0.699 0.407
0.698 0.605 0.647
0.750 0.750 0.000
0.181 0.827 0.635
0.558 0.705 0.135
0.955 0.308 0.635
0.363 0.863 0.225
0.173 0.808 0.353
0.949 0.302 0.907
0.000 0.000 0.000
0.250 0.750 0.500
0.750 0.250 0.500
0.500 0.500 0.000
```
____________

There are potential plans to remove a tree with a TPO – how can I protect it?

If anyone is planning to remove a tree that is protected by a TPO, they are required to submit their work to tree application to the council. These applications normally come with a period of consultation within which you can get in touch with the council and submit your objection.

You can add weight to your objection by getting the local community involved and encouraging as many people as possible to submit their objections.

A tree protected by a TPO has been felled, should it be replaced?

In case a tree protected by a TPO is removed, it is the duty of the property owner to replace it. This is also true if the tree dies, is dying, or is a hazard.

The owner of the property is required to plant a replacement tree:

  • Of suitable species
  • Of suitable size
  • At the same location
  • Within the shortest time possible
    In the event that the land is sold before the owner replaces the tree, the new property owner will be required to replant the tree.

Regardless of which tree species are used to replace the initial tree, it will be covered by the existing tree protection order. Updates to the TPO will then be made to cover all changes made including location and species.